-- Given --
Record 1
Below is crystalline Ni2HIBr at its relaxed geometry, with properties calculated at the PBE-GGA level.

The space group is P4/mmm (No. 123) and the conventional cell measures 4.6282, 4.6282 and 3.9572 Å, with angles of 90.00, 90.00 and 90.00 degrees. The inequivalent atoms are Ni at (0.0000, 0.5000, 0.0000), H at (0.0000, 0.0000, 0.0000), I at (0.0000, 0.0000, 0.5000) and Br at (0.5000, 0.5000, 0.5000).

***

Record 2
Below is crystalline NpHIBr at its relaxed geometry, with properties calculated at the PBE-GGA level.

The space group is Cm (No. 8) and the conventional cell measures 6.8462, 3.9529 and 8.1489 Å, with angles of 90.00, 106.37 and 90.00 degrees. The inequivalent atoms are Np at (0.0000, 0.0000, 0.0000), H at (0.3355, 0.0000, 0.0064), I at (0.2605, 0.5000, 0.2797) and Br at (0.0836, 0.5000, 0.7526).

***

Record 3
Below is crystalline HOsI2Br at its relaxed geometry, with properties calculated at the PBE-GGA level.

The space group is P4/mmm (No. 123) and the conventional cell measures 5.4625, 5.4625 and 3.4609 Å, with angles of 90.00, 90.00 and 90.00 degrees. The inequivalent atoms are H at (0.0000, 0.0000, 0.0000), Os at (0.0000, 0.0000, 0.5000), I at (0.0000, 0.5000, 0.0000) and Br at (0.5000, 0.5000, 0.5000).

***

| no. | uncorrected energy (Ry/atom) | calculated volume (Å³ per cell) | DOS at the Fermi energy (states/eV/f.u.) |
| --- | --- | --- | --- |
| 1 | -0.19542 | 84.8 | 7.03 |
| 2 | -0.42234 | 211.6 | 8.01 |
| 3 | -0.20015 | 103.3 | 6.67 |
-- Brief --
Say how many lines of the data above hold the word "per", as a bare number.
-- Completed --
1